Housing & New Homes Committee

Agenda Item 64


Subject:                    Draft Housing Strategy 2024 to 2029


Date of meeting:    13 March 2024


Report of:     Rachel Sharpe, Executive Director - Housing Neighbourhoods & Communities


Contact Officer:      Name: Steve Morton

                                    Tel: 01273 290555

                                    Email: steve.morton@brighton-hove.gov.uk


Ward(s) affected:   All


For general release


1.            Purpose of the report and policy context

1.1         The last Housing Strategy was agreed in 2015 and expired in 2020. This report summarises the process for developing a new Housing Strategy and presents a draft strategy for review by members prior to public consultation.


1.2         The Housing Strategy underpins delivery of a number of priorities in the Council Plan 2023 to 2027. It informs other strategic plans and strategies, including the City Plan, the Economic Strategy, Homelessness and Rough Sleeping Strategy, Housing Asset Management Strategy, and others.


1.3         A new Housing Strategy for the city will need to consider all the challenges and opportunities that the current and expected future social, economic, and legislative conditions create.  The draft strategy proposes five strategic priorities and sixteen areas for improvement to deliver our long-term goal of ‘Homes for Everyone’. It outlines the council’s contribution, but also recognises that we cannot achieve this on our own. The strategy, therefore, is also a call to action. We need to work with our partners, residents and communities to achieve better housing outcomes for the city. The consultation will ask for views on our proposals and seek creative and innovative solutions to the city’s housing crisis.


1.4         A final draft of the strategy will return to the Housing & New Homes Committee following consultation. It will be accompanied by a Year 1 action plan, to be updated annually.


2.            Recommendations

2.1         That Committee agrees that the draft strategy (Appendix 1) should go forward for public consultation.


2.2         That Committee agrees to the consultation plan (Appendix 2).


2.3         That Committee notes the timetable (summarized in paragraph 3.13) for finalising and adopting the housing strategy.


3.            Context and background information


3.1         Over the last decade Brighton & Hove has been significantly affected by the national housing crisis. There is a shortage of homes which meet the needs of our residents, and rents and house prices are increasing faster than incomes. Although we experience many of the same housing problems as elsewhere, there are additional pressures because of the city’s unique character and history.


3.2         We know we need to make the most of the housing that we already have. Around eighty per cent of the homes that will exist in 2050 have already been built. Many properties, across all types of tenure, need work to ensure that that they are suitable, safe and sustainable, both now and in the future.


3.3         There have also been major legislative and regulatory changes impacting social housing landlords following the Grenfell Tower tragedy. This means that the council must invest in improving the quality of council homes and estates, prioritising building and fire safety improvements.


3.4         The private rented sector provides accommodation for a third of the city’s households. We will continue to work with landlords to improve standards in the private rented sector, using our powers to enforce essential work if required.


3.5         Improved energy efficiency plays a major role in reducing the city’s carbon footprint. It also reduces costs for households and helps tackle the cost-of-living crisis. We will invest in improving the energy efficiency of council homes and, where possible, support other residential property owners to make improvements.


3.6         Achieving the right mix of market and affordable housing types is challenging. Pressure on land for development is high and many potential sites are hard to develop. We need to increase the supply of high-quality homes that meet the needs of our communities. We will work to increase the number of affordable homes using the full range of levers at our disposal.


3.7         Through our strategy we want to create places where people are proud to live. As part of our programme to provide new homes we will incorporate the physical and social infrastructure for people and communities to thrive. This includes working with our partners to develop safe, healthy and inclusive neighbourhoods.


3.8         The Homelessness Reduction Act (2017) changed our legal duties towards households facing homelessness. We will increase our effectiveness in preventing homelessness and reduce the number of households in temporary accommodation. This is not only unsuitable for many, but the use of temporary accommodation places significant pressures on the council’s budget. We have a duty to focus our assistance on people in urgent housing need.


3.9         The city has seen an increase in people with support needs, including supported housing. This includes the growing number of older people, people with physical or learning disabilities, people with autism and people with mental health and substance misuse needs. Housing, adults and children’s services, and the NHS need to collaborate to support people to live independently. Through promoting healthy housing for our residents, the strategy will contribute to the Council Plan priority of better health and wellbeing for all and reducing health inequalities.


3.10      The Council Plan 2023 to 2027 commits us to becoming a responsive council with well-run services. This means we need to get better at listening to and engaging with our residents. We have more work to do to ensure that our housing services are accessible, fair and inclusive. We are also clear that, to deliver improved services and better housing outcomes, we must collaborate with our local and regional partners.


3.11      Sources of evidence use to produce the draft strategy include data from the Census, the Joint Strategic Needs Assessment, the Strategic Housing Market Assessment 2023, the STAR survey of council tenants, and a range of housing service and performance data. We have also drawn on evidence from needs assessments and other plans and strategies.


3.12      The proposed priorities and areas for improvement in the draft strategy have been developed through cross-directorate engagement within the council and tested with members of the Housing & New Homes Committee and policy committee chairs. We have also engaged with strategic partners, including registered social housing providers and local NHS trusts. Further engagement will take place during the public consultation period to test these proposals with a wider audience. We will also seek views on how we best deliver our priorities in working towards our ambitious long-term goal of ‘Homes for Everyone’.


3.13      The proposed timetable for the agreement of the final strategy is as follows.




Launch of public consultation

18 March 2024

(Records of molecules, kept here for reference)
Entry 1:
Formula: CaFHO2S
Source: the Open Molecules 2025 dataset
Level of theory: ωB97M-V with the def2-TZVPD basis set

Computed properties:
Lowest unoccupied orbital energy ... -0.83 eV
Net charge ... 0
HOMO level ... -7.432 eV

The geometry in XYZ format:
```
6
Properties=species:S:1:pos:R:3:forces:R:3:mulliken_charge:R:1
Ca -1.425741 0.111918 0.063162 2.260 0.146 0.757 1.53
S 1.062422 0.587700 -0.661208 1.454 1.465 -0.912 0.02
F -3.292246 -0.104526 0.047406 -2.198 -0.269 -0.110 -0.75
O 1.000030 -0.784077 0.422911 -1.330 -0.139 0.799 -0.62
O 1.505383 1.813102 0.153474 -0.712 -1.338 -0.303 -0.54
H 1.150154 -1.624116 -0.025747 0.525 0.135 -0.231 0.35
```
Forces are in eV/Å.

=====

Entry 2:
Formula: C3H6Br2O6P2
Source: the Open Molecules 2025 dataset
Level of theory: ωB97M-V with the def2-TZVPD basis set

Computed properties:
Lowest unoccupied orbital energy ... 5.01 eV
Net charge ... -2
HOMO level ... -0.432 eV
Relative energy (zero: lowest compared OMol25 entry of this formula, charge and spin) ... 19.2 kJ/mol

The geometry in XYZ format:
```
19
Properties=species:S:1:pos:R:3:forces:R:3:mulliken_charge:R:1
Br -0.083233 0.956598 -2.788213 0.073 0.225 -0.068 -0.33
Br 2.921543 -2.861680 -3.396159 0.818 -0.310 -0.309 -0.38
P 1.450888 -0.506762 -1.966425 -1.335 -0.679 0.771 0.94
P 0.097639 1.145293 0.678547 -0.513 -1.473 -1.387 0.26
O 2.769758 0.053872 -1.798602 1.406 1.221 -0.054 -0.64
O 0.840760 -1.546443 -1.108162 -0.225 0.245 -0.181 -0.51
O -1.658114 1.184349 0.629979 0.986 -1.614 0.069 -0.31
O 0.421637 -1.956769 -4.069883 0.214 0.630 -0.708 -0.37
O 0.339031 0.090728 1.998729 0.120 -0.715 -1.503 -0.27
O 0.370924 2.463738 1.264011 0.530 2.519 0.713 -0.74
C 1.350602 -1.539710 -3.488531 -0.986 -1.628 0.027 0.33
C 0.272446 0.669368 3.197491 0.715 2.534 3.581 -0.74
C -2.306230 -0.015777 0.135833 -0.772 2.016 -1.476 -0.60
H -1.812004 -0.749495 -0.552408 0.694 0.832 0.862 0.27
H -0.183141 -0.023052 3.894706 0.101 -0.460 0.610 0.28
H -2.728617 -0.576108 0.983895 -0.350 0.199 -0.399 0.20
H -0.362237 1.602628 3.282265 0.487 -0.805 -0.517 0.26
H -3.010862 0.537774 -0.586257 -0.192 -1.625 1.151 0.21
H 1.309210 1.071449 3.689185 -1.773 -1.112 -1.182 0.16
```
Forces are in eV/Å.


Record 1
Here is C5H8N2 in the gas phase from OMol25. Energies are from wB97M-V/def2-TZVPD.

Values from the calculation:
Energy above the lowest of the compared OMol25 structures with the same formula, charge and spin (eV): 3.1711
Highest occupied orbital energy (alpha / beta) (eV): -7.00 / -7.00

```
15
Properties=species:S:1:pos:R:3:forces:R:3
H -1.337394 0.177236 1.225628 0.1 0.0 0.1
C 0.666539 0.371984 1.858928 0.7 0.5 0.4
C -0.355897 0.149311 -1.124305 0.1 0.0 -0.1
C -0.407816 -0.397435 1.220048 -0.1 0.0 0.0
H -0.566036 -1.335201 1.755564 0.0 0.1 0.0
C -0.273668 1.623671 -0.932260 -0.1 0.3 0.1
H -1.006580 2.144212 -1.550960 0.0 -0.1 0.0
H 1.014643 -2.093014 -1.308803 -0.2 0.0 0.1
N 1.496518 1.011162 2.347619 -0.8 -0.6 -0.5
H -0.262231 -0.235960 -2.132358 0.0 -0.1 0.1

Close of public consultation

19 May 2024

Housing & New Homes Committee

June 2024*

Full Council

July 2024*

* date to be confirmed




4.            Analysis and consideration of alternative options


4.1         The Deregulation Act (2015) removed the requirement for local housing authorities to produce a housing strategy. The option of not producing a housing strategy has been tested with members of the Housing & New Homes Committee and policy committee chairs. Members agreed to proceed with the production of the strategy.


5.            Community engagement and consultation


5.1         Following discussion with senior officers and councillors, we propose a period of eight weeks’ public consultation on the draft strategy to run from 18 March to 19 May 2024. While this is not a statutory consultation, best practice guidance indicates that we should consult with interested parties for a period of between six and twelve weeks. We will market and promote the consultation widely, through social media and communications channels as well as publicity material in public buildings, including housing offices, libraries, community venues and family hubs. As well as general promotion, we will target publicity to ensure we reach our strategic partners as well as seldom-heard groups and communities. The public consultation forms part of a longer process of engagement with internal and external stakeholders which began in November 2023 and will continue during the formal consultation period.


5.2         We have used findings from council and partner consultation and engagement exercises to inform the first phase of strategy development. This includes consultation and engagement on the Adult Learning Disability Strategy (2019), care needs assessment for adults under 70 (2019), older people’s housing (2019), Homelessness & Rough Sleeping Strategy (2020), review of Area Panels (2022), the Autism Strategy (2023), Additional and Selective Licensing (2023), Community Safety Strategy (2023), the STAR survey of council tenants (2023), Antisocial Behaviour (ongoing), Violence Against Women and Girls Strategy (ongoing).


5.3         Consultation responses can be submitted on the council website, with copies of the survey in other formats available on request. The council will provide resource material for community groups and others who wish to engage their members or service users in submitting a response. The consultation will be promoted by the council’s communication team and through mailing lists of partners and community groups across the city. Council tenants and leaseholders will also be consulted through the Area Panels.


5.4         Initial work on the equality impact assessment has identified a number of groups detailed in the consultation plan where we will proactively seek responses to address gaps in our knowledge. While it would delay approval of the final strategy, there remains an option to extend the period of consultation should we be unsuccessful in reaching key groups of stakeholders. This will be kept under review by the project group during the consultation period.


5.5         The consultation plan is at Appendix 2.


6.            Conclusion


6.1         This report seeks approval from the Housing and New Homes Committee for public consultation on the draft housing strategy, prior to its final agreement in the summer.


7.            Financial implications


7.1         The consultation process is estimated to cost between £3,000 and £5,000 and will be met from current budget resources for 2023/24 and 2024/25.


7.2       The financial implications arising from this strategy will need to form part of the budgeting setting processes and managed within budget constraints. In addition, this strategy may have budgetary impact on other service areas across the council which will need to be quantified as the strategy is implemented.


Name of finance officer consulted: Monica Brooks        Date consulted 23/2/24


8.            Legal implications


8.1         Under Part 3 of the Council’s constitution, adoption of the Housing Strategy is reserved to Full Council as part of the Policy Framework.


Name of lawyer consulted: Simon Court       Date consulted 27/02/24


9.            Equalities implications


9.1         Work on an equalities impact assessment is underway and the final assessment will accompany the strategy when it returns to committee for approval. Initial findings indicate that, while the council collects and uses equalities data to inform housing service, policy and strategy development, our information is partial and there are gaps. The consultation plan details how we will seek responses in relation to groups and protected characteristics where this is the case.


10.         Sustainability implications


10.1      Housing is one of the largest contributors to the city’s CO2 emissions. The draft Housing Strategy includes actions to ensure that new housing maintains a high standard of design to minimise impact on the environment and reduce fuel costs, that we make best use and improve the existing housing stock.


11.         Other Implications


Social Value and procurement implications


11.1      The draft strategy contains a commitment to seek Social Value through our procurement and other activities. For example, our in house repairs and maintenance service provides opportunities for work experience and apprenticeships to local people.


Crime & disorder implications:


11.2      The strategy reinforces the continued need for services to support rough sleepers and those experiencing domestic violence, and, on improving joint working with the police and other partners to ensure issues of harassment and hate crime are tackled effectively.


Public health implications:


11.3      Poor quality, unaffordable, inappropriate or lack of housing have a direct impact on the ability of residents to maintain their health, wellbeing and independence. Measures to improve housing quality, tackle health and safety hazards, improve the environment and increase community cohesion will have a positive impact on health and contribute to tackling health inequalities.



Supporting Documentation




1.            Draft Housing Strategy 2024 to 2029

2.            Consultation plan